********
# 1
{
  "formula": "H30O15",
  "method": "ωB97M-V/def2-TZVPD",
  "lumo_energy_ev": -0.5,
  "homo_ev": -10.486,
  "relative_energy_kcal_mol": 165.34,
  "spin_multiplicity": 1,
  "total_energy_ev": -31194.49584,
  "orbital_gap_ha": 0.366,
  "symbols": ["O", "H", "H", "O", "H", "H", "O", "H", "H", "O", "H", "H", "O", "H", "H", "O", "H", "H", "O", "H", "H", "O", "H", "H", "O", "H", "H", "O", "H", "H", "O", "H", "H", "O", "H", "H", "O", "H", "H", "O", "H", "H", "O", "H", "H"],
  "positions_angstrom": [[-3.635945, -3.230490, -1.344297], [-2.948470, -3.503104, -0.793353], [-3.103710, -3.144892, -2.116187], [1.680360, 2.726209, 1.952173], [1.525471, 3.623515, 2.444316], [0.912159, 2.309116, 2.080032], [1.022275, -1.612604, 3.270140], [1.874131, -1.249896, 3.604634], [0.519467, -1.396647, 3.856754], [0.503727, -3.237549, -1.208616], [-0.394711, -3.409009, -1.592947], [0.418551, -2.230317, -1.153776], [-1.143218, -0.819927, -1.422332], [-1.902258, -0.960929, -0.936282], [-1.465657, 0.116107, -1.891421], [-1.686267, -2.361857, -3.360336], [-1.574301, -3.132058, -3.779912], [-0.925979, -1.893374, -3.655952], [3.580685, 1.349883, 3.265502], [4.326886, 1.219839, 2.549269], [3.004753, 1.805344, 2.753061], [-1.396721, 2.426073, 3.632240], [-2.363760, 2.165574, 4.025647], [-1.452190, 3.302599, 3.235866], [-3.858137, 0.574915, -2.776082], [-3.862917, -0.342305, -3.049141], [-3.229932, 0.870176, -3.370029], [2.270633, 3.841120, -2.647341], [2.194418, 2.841377, -2.904182], [3.064093, 3.743695, -2.144013], [3.354104, -2.442720, 0.320301], [2.932216, -1.870168, 0.953643], [2.786789, -2.092647, -0.390909], [-2.738000, -0.344743, 3.422088], [-1.747633, -0.333858, 3.021751], [-3.139088, -1.045589, 2.739552], [-4.228659, 2.594141, -0.837574], [-4.166659, 2.821635, 0.152477], [-3.413231, 2.317876, -1.136276], [4.487940, 0.549907, 0.790767], [4.437702, 0.695233, -0.216618], [4.951914, -0.222447, 1.200198], [1.657298, -0.006209, -2.875301], [1.310291, -0.462070, -2.179783], [2.471050, -0.591964, -2.757081]],
  "forces_ev_per_angstrom": [[-1.5, 0.5, -0.5], [1.4, -0.9, 2.3], [0.2, 0.6, -1.6], [3.8, 5.5, 0.5], [0.7, -2.5, -1.4], [-4.8, -2.9, 0.8], [10.3, -3.2, -10.0], [-0.6, -0.4, -0.7], [-9.7, 3.7, 10.7], [-1.4, 2.0, -0.5], [1.2, 0.0, 0.4], [0.1, -2.0, 0.1], [1.4, 5.1, -3.1], [-2.7, -1.0, 1.9], [1.5, -3.6, 1.7], [-1.3, 3.2, 2.0], [0.2, -4.9, -2.7], [1.0, 1.2, 0.1], [5.5, -2.8, 0.6], [-2.1, 0.3, 2.2], [-3.3, 2.4, -2.3], [-3.0, -1.1, 1.3], [3.6, 1.1, -1.7], [-0.5, -0.1, 0.2], [-1.3, -1.1, 1.5], [-0.5, -0.8, 0.3], [2.0, 1.7, -2.1], [-0.7, -3.3, -1.2], [-0.4, 2.7, 0.4], [1.0, 0.6, 0.8], [-0.7, 0.8, -1.0], [0.2, 0.1, 1.6], [0.6, -1.0, -0.5], [2.3, -2.5, -3.9], [-3.3, 0.3, 1.6], [1.0, 2.3, 2.4], [-3.0, 1.7, 3.4], [0.2, -0.6, -2.5], [2.7, -1.0, -0.7], [-0.1, 0.5, -1.1], [0.8, -1.3, 2.7], [-0.5, 0.6, -1.9], [3.7, -0.3, -2.0], [-3.4, -1.2, 3.4], [-0.4, 1.5, -1.5]]
}

# 2
{
  "formula": "C28H44O26S2",
  "method": "ωB97M-V/def2-TZVPD",
  "lumo_energy_ev": 0.3,
  "homo_ev": -9.376,
  "relative_energy_kcal_mol": 3.93,
  "spin_multiplicity": 1,
  "total_energy_ev": -104653.09495,
  "orbital_gap_ha": 0.357,
  "symbols": ["C", "S", "O", "C", "H", "H", "H", "H", "H", "H", "C", "S", "O", "C", "H", "H", "H", "H", "H", "H", "C", "C", "O", "C", "O", "O", "H", "H", "H", "H", "C", "C", "O", "C", "O", "O", "H", "H", "H", "H", "C", "C", "O", "C", "O", "O", "H", "H", "H", "H", "C", "C", "O", "C", "O", "O", "H", "H", "H", "H", "C", "C", "O", "C", "O", "O", "H", "H", "H", "H", "C", "C", "O", "C", "O", "O", "H", "H", "H", "H", "C", "C", "O", "C", "O", "O", "H", "H", "H", "H", "C", "C", "O", "C", "O", "O", "H", "H", "H", "H"],
********
Return the contents further above unchanged.
# 1
{
  "formula": "H30O15",
  "method": "ωB97M-V/def2-TZVPD",
  "lumo_energy_ev": -0.5,
  "homo_ev": -10.486,
  "relative_energy_kcal_mol": 165.34,
  "spin_multiplicity": 1,
  "total_energy_ev": -31194.49584,
  "orbital_gap_ha": 0.366,
  "symbols": ["O", "H", "H", "O", "H", "H", "O", "H", "H", "O", "H", "H", "O", "H", "H", "O", "H", "H", "O", "H", "H", "O", "H", "H", "O", "H", "H", "O", "H", "H", "O", "H", "H", "O", "H", "H", "O", "H", "H", "O", "H", "H", "O", "H", "H"],
  "positions_angstrom": [[-3.635945, -3.230490, -1.344297], [-2.948470, -3.503104, -0.793353], [-3.103710, -3.144892, -2.116187], [1.680360, 2.726209, 1.952173], [1.525471, 3.623515, 2.444316], [0.912159, 2.309116, 2.080032], [1.022275, -1.612604, 3.270140], [1.874131, -1.249896, 3.604634], [0.519467, -1.396647, 3.856754], [0.503727, -3.237549, -1.208616], [-0.394711, -3.409009, -1.592947], [0.418551, -2.230317, -1.153776], [-1.143218, -0.819927, -1.422332], [-1.902258, -0.960929, -0.936282], [-1.465657, 0.116107, -1.891421], [-1.686267, -2.361857, -3.360336], [-1.574301, -3.132058, -3.779912], [-0.925979, -1.893374, -3.655952], [3.580685, 1.349883, 3.265502], [4.326886, 1.219839, 2.549269], [3.004753, 1.805344, 2.753061], [-1.396721, 2.426073, 3.632240], [-2.363760, 2.165574, 4.025647], [-1.452190, 3.302599, 3.235866], [-3.858137, 0.574915, -2.776082], [-3.862917, -0.342305, -3.049141], [-3.229932, 0.870176, -3.370029], [2.270633, 3.841120, -2.647341], [2.194418, 2.841377, -2.904182], [3.064093, 3.743695, -2.144013], [3.354104, -2.442720, 0.320301], [2.932216, -1.870168, 0.953643], [2.786789, -2.092647, -0.390909], [-2.738000, -0.344743, 3.422088], [-1.747633, -0.333858, 3.021751], [-3.139088, -1.045589, 2.739552], [-4.228659, 2.594141, -0.837574], [-4.166659, 2.821635, 0.152477], [-3.413231, 2.317876, -1.136276], [4.487940, 0.549907, 0.790767], [4.437702, 0.695233, -0.216618], [4.951914, -0.222447, 1.200198], [1.657298, -0.006209, -2.875301], [1.310291, -0.462070, -2.179783], [2.471050, -0.591964, -2.757081]],
  "forces_ev_per_angstrom": [[-1.5, 0.5, -0.5], [1.4, -0.9, 2.3], [0.2, 0.6, -1.6], [3.8, 5.5, 0.5], [0.7, -2.5, -1.4], [-4.8, -2.9, 0.8], [10.3, -3.2, -10.0], [-0.6, -0.4, -0.7], [-9.7, 3.7, 10.7], [-1.4, 2.0, -0.5], [1.2, 0.0, 0.4], [0.1, -2.0, 0.1], [1.4, 5.1, -3.1], [-2.7, -1.0, 1.9], [1.5, -3.6, 1.7], [-1.3, 3.2, 2.0], [0.2, -4.9, -2.7], [1.0, 1.2, 0.1], [5.5, -2.8, 0.6], [-2.1, 0.3, 2.2], [-3.3, 2.4, -2.3], [-3.0, -1.1, 1.3], [3.6, 1.1, -1.7], [-0.5, -0.1, 0.2], [-1.3, -1.1, 1.5], [-0.5, -0.8, 0.3], [2.0, 1.7, -2.1], [-0.7, -3.3, -1.2], [-0.4, 2.7, 0.4], [1.0, 0.6, 0.8], [-0.7, 0.8, -1.0], [0.2, 0.1, 1.6], [0.6, -1.0, -0.5], [2.3, -2.5, -3.9], [-3.3, 0.3, 1.6], [1.0, 2.3, 2.4], [-3.0, 1.7, 3.4], [0.2, -0.6, -2.5], [2.7, -1.0, -0.7], [-0.1, 0.5, -1.1], [0.8, -1.3, 2.7], [-0.5, 0.6, -1.9], [3.7, -0.3, -2.0], [-3.4, -1.2, 3.4], [-0.4, 1.5, -1.5]]
}

# 2
{
  "formula": "C28H44O26S2",
  "method": "ωB97M-V/def2-TZVPD",
  "lumo_energy_ev": 0.3,
  "homo_ev": -9.376,
  "relative_energy_kcal_mol": 3.93,
  "spin_multiplicity": 1,
  "total_energy_ev": -104653.09495,
  "orbital_gap_ha": 0.357,
  "symbols": ["C", "S", "O", "C", "H", "H", "H", "H", "H", "H", "C", "S", "O", "C", "H", "H", "H", "H", "H", "H", "C", "C", "O", "C", "O", "O", "H", "H", "H", "H", "C", "C", "O", "C", "O", "O", "H", "H", "H", "H", "C", "C", "O", "C", "O", "O", "H", "H", "H", "H", "C", "C", "O", "C", "O", "O", "H", "H", "H", "H", "C", "C", "O", "C", "O", "O", "H", "H", "H", "H", "C", "C", "O", "C", "O", "O", "H", "H", "H", "H", "C", "C", "O", "C", "O", "O", "H", "H", "H", "H", "C", "C", "O", "C", "O", "O", "H", "H", "H", "H"],